• Request:
Find "(0.7500, 0.4880," and "0.1290)" in the data underneath, and repeat these two lines and those between, please.

• Source:
A PBEsol-optimized structure of RbBaBi. Source: Alexandria, functional SCAN.

Computed properties:
SG: Pnma (62)
Formation energy: -800 meV/atom

Unit cell a=5.8128 b=9.1916 c=10.3590 alpha=90.00 beta=90.00 gamma=90.00
Element x y z (fractional)
Bi (0.7500, 0.2211, 0.9033)
Bi (0.2500, 0.2789, 0.4033)
Bi (0.2500, 0.7789, 0.0967)
Bi (0.7500, 0.7211, 0.5967)
Rb (0.7500, 0.9880, 0.3163)
Rb (0.2500, 0.5120, 0.8163)
Rb (0.2500, 0.0120, 0.6837)
Rb (0.7500, 0.4880, 0.1837)
Ba (0.7500, 0.8386, 0.9157)
Ba (0.2500, 0.6614, 0.4157)
Ba (0.2500, 0.1614, 0.0843)
Ba (0.7500, 0.3386, 0.5843)

---

A PBEsol-optimized structure of CsTl2Sn2. Source: Alexandria, functional SCAN.

Computed properties:
SG: I4/mmm (139)
Formation energy: -174 meV/atom

Unit cell a=4.4466 b=4.4466 c=9.3506 alpha=103.76 beta=103.76 gamma=90.00
Element x y z (fractional)
Cs (0.0000, 0.0000, 0.0000)
Tl (0.3784, 0.3784, 0.7565)
Tl (0.6216, 0.6216, 0.2435)
Sn (0.2499, 0.7500, 0.5000)
Sn (0.7500, 0.2499, 0.5000)

---

A PBEsol-optimized structure of K2BaRhAu. Source: Alexandria, functional SCAN.

Computed properties:
SG: P4/mmm (123)
Formation energy: 171 meV/atom

Unit cell a=5.5508 b=5.7951 c=5.7951 alpha=90.00 beta=90.00 gamma=90.00
Element x y z (fractional)
Rh (0.0000, 0.0000, 0.0000)
K (0.0000, 0.0000, 0.5000)
K (0.0000, 0.5000, 0.0000)
Au (0.5000, 0.5000, 0.5000)
Ba (0.5000, 0.0000, 0.0000)

---

A PBEsol-optimized structure of NaPH3C2N3O4. Source: Alexandria, functional SCAN.

Computed properties:
SG: P2_1/c (14)

Unit cell a=6.7610 b=7.0133 c=12.4660 alpha=90.00 beta=90.00 gamma=106.31
Element x y z (fractional)
Na (0.7492, 0.0944, 0.5512)
Na (0.7508, 0.4056, 0.0512)
Na (0.2492, 0.5944, 0.9488)
Na (0.2508, 0.9056, 0.4488)
P (0.7939, 0.6032, 0.5813)
P (0.7061, 0.8968, 0.0813)
P (0.2939, 0.1032, 0.9187)
P (0.2061, 0.3968, 0.4187)
H (0.9467, 0.1190, 0.9271)
H (0.0659, 0.5737, 0.6975)
H (0.9520, 0.0250, 0.3774)
H (0.5480, 0.4750, 0.8774)
H (0.5533, 0.3810, 0.4271)
H (0.5659, 0.0737, 0.8025)
H (0.4341, 0.9263, 0.1975)
H (0.4467, 0.6190, 0.5729)
H (0.4520, 0.5250, 0.1226)
H (0.9341, 0.4263, 0.3025)
H (0.0480, 0.9750, 0.6226)
H (0.0533, 0.8810, 0.0729)
C (0.0101, 0.9255, 0.2297)
C (0.8220, 0.5368, 0.7968)
C (0.6780, 0.9632, 0.2968)
C (0.5101, 0.4255, 0.2703)
C (0.4899, 0.5745, 0.7297)
C (0.3220, 0.0368, 0.7032)
C (0.1780, 0.4632, 0.2032)
C (0.9899, 0.0745, 0.7703)
N (0.9106, 0.5722, 0.6980)
N (0.9371, 0.8858, 0.1290)
N (0.8804, 0.9644, 0.3060)
N (0.6196, 0.5356, 0.8060)
N (0.5629, 0.6142, 0.6290)
N (0.4106, 0.0722, 0.8020)
N (0.5894, 0.9278, 0.1980)
N (0.4371, 0.3858, 0.3710)
N (0.3804, 0.4644, 0.1940)
N (0.1196, 0.0356, 0.6940)
N (0.0629, 0.1142, 0.8710)
N (0.0894, 0.4278, 0.3020)
O (0.8108, 0.0707, 0.7428)
O (0.9147, 0.5068, 0.8787)
O (0.7423, 0.0771, 0.0103)
O (0.9050, 0.8018, 0.5330)
O (0.7577, 0.4229, 0.5103)
O (0.6892, 0.4293, 0.2428)
O (0.4147, 0.0068, 0.6213)
O (0.5950, 0.6982, 0.0330)
O (0.4050, 0.3018, 0.9670)
O (0.5853, 0.9932, 0.3787)
O (0.3108, 0.5707, 0.7572)
O (0.2423, 0.5771, 0.4897)
O (0.0950, 0.1982, 0.4670)
O (0.2577, 0.9229, 0.9897)
O (0.0853, 0.4932, 0.1213)
O (0.1892, 0.9293, 0.2572)

---

Record-wise total DFT energy (no corrections) values, in eV/atom: -47.09 -51.05 -31.66 -8.14

• Reply:
Rb (0.7500, 0.4880, 0.1837)
Ba (0.7500, 0.8386, 0.9157)
Ba (0.2500, 0.6614, 0.4157)
Ba (0.2500, 0.1614, 0.0843)
Ba (0.7500, 0.3386, 0.5843)

---

A PBEsol-optimized structure of CsTl2Sn2. Source: Alexandria, functional SCAN.

Computed properties:
SG: I4/mmm (139)
Formation energy: -174 meV/atom

Unit cell a=4.4466 b=4.4466 c=9.3506 alpha=103.76 beta=103.76 gamma=90.00
Element x y z (fractional)
Cs (0.0000, 0.0000, 0.0000)
Tl (0.3784, 0.3784, 0.7565)
Tl (0.6216, 0.6216, 0.2435)
Sn (0.2499, 0.7500, 0.5000)
Sn (0.7500, 0.2499, 0.5000)

---

A PBEsol-optimized structure of K2BaRhAu. Source: Alexandria, functional SCAN.

Computed properties:
SG: P4/mmm (123)
Formation energy: 171 meV/atom

Unit cell a=5.5508 b=5.7951 c=5.7951 alpha=90.00 beta=90.00 gamma=90.00
Element x y z (fractional)
Rh (0.0000, 0.0000, 0.0000)
K (0.0000, 0.0000, 0.5000)
K (0.0000, 0.5000, 0.0000)
Au (0.5000, 0.5000, 0.5000)
Ba (0.5000, 0.0000, 0.0000)

---

A PBEsol-optimized structure of NaPH3C2N3O4. Source: Alexandria, functional SCAN.

Computed properties:
SG: P2_1/c (14)

Unit cell a=6.7610 b=7.0133 c=12.4660 alpha=90.00 beta=90.00 gamma=106.31
Element x y z (fractional)
Na (0.7492, 0.0944, 0.5512)
Na (0.7508, 0.4056, 0.0512)
Na (0.2492, 0.5944, 0.9488)
Na (0.2508, 0.9056, 0.4488)
P (0.7939, 0.6032, 0.5813)
P (0.7061, 0.8968, 0.0813)
P (0.2939, 0.1032, 0.9187)
P (0.2061, 0.3968, 0.4187)
H (0.9467, 0.1190, 0.9271)
H (0.0659, 0.5737, 0.6975)
H (0.9520, 0.0250, 0.3774)
H (0.5480, 0.4750, 0.8774)
H (0.5533, 0.3810, 0.4271)
H (0.5659, 0.0737, 0.8025)
H (0.4341, 0.9263, 0.1975)
H (0.4467, 0.6190, 0.5729)
H (0.4520, 0.5250, 0.1226)
H (0.9341, 0.4263, 0.3025)
H (0.0480, 0.9750, 0.6226)
H (0.0533, 0.8810, 0.0729)
C (0.0101, 0.9255, 0.2297)
C (0.8220, 0.5368, 0.7968)
C (0.6780, 0.9632, 0.2968)
C (0.5101, 0.4255, 0.2703)
C (0.4899, 0.5745, 0.7297)
C (0.3220, 0.0368, 0.7032)
C (0.1780, 0.4632, 0.2032)
C (0.9899, 0.0745, 0.7703)
N (0.9106, 0.5722, 0.6980)
N (0.9371, 0.8858, 0.1290)